Now transcribe the entries below from the first line to the one with "-3.3035" character by character.

********
(1)
Below is a structure of composition C12H12N5O4S3Ti at a distorted geometry, with properties calculated with ωB97M-V/def2-TZVPD.

The calculation puts the frontier orbital gap (alpha / beta) at 6.59 / 7.20 eV. As for the expectation value of S²: 0.760. The calculation puts the total energy at -3083.3858 Eh. As for the multiplicity: 2. Its charge is 0. As for the LUMO energy (alpha / beta): -0.03387 / -0.04202 hartree.

Each line ends with the Mulliken spin population.
Geometry (Å):
1 Ti 0.2181 0.6904 -1.2503  0.88
2 N 4.3706 1.1660 -1.3347  0.00
3 C 3.0705 1.4027 -1.0913  0.00
4 S 2.0359 1.7631 -2.4675  -0.01
5 N 2.6937 1.4508 0.1814  0.00
6 N 1.3409 1.5752 0.1967  -0.06
7 C 0.6862 2.1873 1.1219  0.08
8 C -0.6788 2.5689 0.7432  0.02
9 C -1.5116 3.3557 1.5345  0.01
10 C -2.6998 3.8207 1.0158  0.01
11 C -3.0522 3.4952 -0.2894  0.02
12 C -2.2055 2.6844 -1.0100  0.01
13 N -1.0481 2.2332 -0.5118  0.04
14 H 4.6424 0.9205 -2.2699  0.00
15 H 4.9136 0.7984 -0.5705  0.00
16 H 1.1669 2.5412 2.0277  0.00
17 H -1.2067 3.5981 2.5437  0.00
18 H -3.3486 4.4378 1.6231  0.00
19 H -3.9716 3.8459 -0.7344  0.00
20 H -2.4479 2.3616 -2.0139  -0.01
21 O -0.0020 -2.8411 -2.0866  0.00
22 S 0.7164 -1.6335 -2.3770  0.01
23 O 1.7994 -1.7065 -3.3035  0.00
24 O -0.2750 -0.4742 -2.7535  0.00
25 O 1.1955 -0.9831 -1.0170  -0.01
26 S -1.7322 -0.6268 0.1975  0.00
27 C -1.0921 -2.1142 0.7582  0.00
28 N 0.1983 -2.2166 1.1359  0.00
29 C 0.8044 -3.3492 1.5533  0.00
30 C 0.0868 -4.4991 1.6656  0.00
31 C -1.2706 -4.4577 1.3018  0.00
32 C -1.8466 -3.3016 0.8555  0.00
33 H 0.7713 -1.4003 0.9686  0.00
34 H 1.8576 -3.2583 1.7706  0.00
35 H 0.5648 -5.4061 2.0012  0.00
36 H -1.8675 -5.3592 1.3503  0.00
37 H -2.8765 -3.2694 0.5348  0.00

Forces on the atoms, in the same order (eV/Å):
-0.64 -1.06 -0.59
-0.04 -0.08 0.10
0.01 0.26 -0.07
0.42 -0.06 0.13
-0.38 -0.19 -0.05
0.43 0.81 0.54
0.06 -0.02 -0.03
-0.04 0.26 0.07
0.35 -0.14 0.20
-0.13 0.02 -0.10
-0.09 0.10 0.10
0.18 -0.15 0.08
-0.52 0.27 0.14
-0.03 0.05 -0.04
0.04 0.02 -0.01
-0.06 0.08 0.02
-0.01 0.02 -0.01
-0.01 0.00 -0.02
0.00 0.01 0.02
0.00 -0.01 -0.02
0.01 -0.07 0.03
-0.79 0.64 0.41
0.10 -0.04 0.00
0.74 -0.55 -0.21
0.30 -0.33 -0.65
0.28 0.04 0.24
-0.11 0.05 -0.26
0.08 0.04 0.14
-0.16 0.04 -0.04
0.06 0.05 0.00
-0.04 -0.07 -0.01
-0.07 0.09 -0.01
0.07 0.01 -0.14
0.01 -0.04 0.00
-0.03 -0.02 -0.01
0.02 -0.01 0.02
-0.01 0.00 0.02


(2)
Below is an isolated molecule of C3H3ClN2O at a distorted geometry, with properties calculated with ωB97M-V/def2-TZVPD.

The calculation puts the frontier orbital gap at 9.48 eV. The calculation puts the total energy at -760.9609 Eh. Its SMILES is [H]/N=C(\Cl)C(=O)N=C. Its charge is 0. As for the LUMO energy: -0.01305 hartree.

Each line ends with the natural charge from an NBO analysis.
Geometry (Å):
1 H 0.1202 0.1181 3.3553  0.37
2 N -0.1316 0.0658 2.4191  -0.63
3 C 0.5805 -0.4441 1.5406  0.24
4 Cl 1.9713 -1.5031 1.5678  0.00
5 C 0.4717 0.0963 -0.1406  0.63
6 O 1.4691 0.6584 -0.5281  -0.54
7 N -0.5581 -0.2658 -1.0318  -0.47
8 C -1.0971 0.2149 -2.1214  0.06
9 H -1.1053 1.2875 -2.2503  0.15
10 H -1.7207 -0.2279 -2.8106  0.18

Forces on the atoms, in the same order (eV/Å):
0.65 -0.76 2.09
-0.04 0.41 -2.76
-1.01 1.18 -3.06
-0.10 0.14 0.58
0.13 0.30 0.43
-0.64 -0.51 0.50
-0.84 -1.19 -1.67
2.41 2.03 5.19
0.42 0.60 -0.19
-0.98 -2.21 -1.10


(3)
Below is a cluster of 8 separate species, C50H66N8O2 in total at a distorted geometry, with properties calculated with ωB97M-V/def2-TZVPD.

The calculation puts the frontier orbital gap at 7.84 eV. The calculation puts the total energy at -2532.6028 Eh. Its SMILES is C#CCCC[C@@H]1C(=O)O[C@@H](CCC)[C@]1(CCN)Cc1cccc(C)c1.c1cc[nH]c1.c1cc[nH]c1.c1cc[nH]c1.c1cc[nH]c1.c1cc[nH]c1.c1cc[nH]c1.c1cc[nH]c1. Its charge is 0. As for the LUMO energy: -0.00323 hartree.

Each line ends with the Löwdin charge.
Geometry (Å):
1 C -3.8521 2.8864 0.1341  0.04
2 C -3.2706 2.6825 1.4221  -0.08
3 C -2.3852 1.9306 2.6255  -0.19
4 C -0.7749 2.2220 2.5264  -0.20
********

(1)
Below is a structure of composition C12H12N5O4S3Ti at a distorted geometry, with properties calculated with ωB97M-V/def2-TZVPD.

The calculation puts the frontier orbital gap (alpha / beta) at 6.59 / 7.20 eV. As for the expectation value of S²: 0.760. The calculation puts the total energy at -3083.3858 Eh. As for the multiplicity: 2. Its charge is 0. As for the LUMO energy (alpha / beta): -0.03387 / -0.04202 hartree.

Each line ends with the Mulliken spin population.
Geometry (Å):
1 Ti 0.2181 0.6904 -1.2503  0.88
2 N 4.3706 1.1660 -1.3347  0.00
3 C 3.0705 1.4027 -1.0913  0.00
4 S 2.0359 1.7631 -2.4675  -0.01
5 N 2.6937 1.4508 0.1814  0.00
6 N 1.3409 1.5752 0.1967  -0.06
7 C 0.6862 2.1873 1.1219  0.08
8 C -0.6788 2.5689 0.7432  0.02
9 C -1.5116 3.3557 1.5345  0.01
10 C -2.6998 3.8207 1.0158  0.01
11 C -3.0522 3.4952 -0.2894  0.02
12 C -2.2055 2.6844 -1.0100  0.01
13 N -1.0481 2.2332 -0.5118  0.04
14 H 4.6424 0.9205 -2.2699  0.00
15 H 4.9136 0.7984 -0.5705  0.00
16 H 1.1669 2.5412 2.0277  0.00
17 H -1.2067 3.5981 2.5437  0.00
18 H -3.3486 4.4378 1.6231  0.00
19 H -3.9716 3.8459 -0.7344  0.00
20 H -2.4479 2.3616 -2.0139  -0.01
21 O -0.0020 -2.8411 -2.0866  0.00
22 S 0.7164 -1.6335 -2.3770  0.01
23 O 1.7994 -1.7065 -3.3035  0.00